In Yemen’s strife-ridden landscape, Shaaf endeavors to fortify public services and educational prospects, rehabilitating schools and instilling preventive healthcare measures for a brighter future. Through targeted interventions, Shaaf aims to uplift communities and mitigate the enduring impact of conflict on the learning environment.

Better and healthier learning conditions in schools

Due to years of conflict, the public health and education systems have been severely weakened, with children in particular suffering.

Situation in Yemen

Public services and infrastructure in Yemen have been severely affected by the long-standing conflict and the poor economic situation. The health and education systems are also in poor condition. Also, most public sector workers, including teachers and healthcare workers, have not received a regular salary for years.

Education about cholera in schools in Yemen.

People in society who are particularly vulnerable suffer particularly from the difficult living conditions: people with chronic illnesses lack reliable medical care and children lack an appropriate and healthy learning environment. Many children suffer from malnutrition and are forced to stop school. In schools that are still functioning, millions of children are confronted with the effects of collapsed health and water supplies. But health prevention is particularly necessary in schools to prevent the spread of diarrheal diseases and cholera.

Support of Shaaf

Shaaf is improving public services to provide children with a safe learning environment and prevent the spread of infectious diseases through health prevention.


15,840 people benefit from the repair and equipment of schools, supplemented by health prevention campaigns. Another component of the project focuses on the renovation and equipment of two dialysis centers for patients with severe chronic kidney diseases.

Renovation and construction of schools

Here the entry breaks off for molecular data >
~~~
No. 1
The following is a DFT calculation (ωB97M-V with the def2-TZVPD basis set) of a cluster of 2 separate species, C5H9N2 in total at a distorted geometry.

For the HOMO energy, the calculation gives -14.4994 eV. As for the energy above the lowest of the compared OMol25 structures with the same formula, charge and spin: 137.9 kcal/mol. The calculation puts the LUMO energy at -0.1541 hartree. The HOMO-LUMO gap is 10.305 eV. Its charge is +1. The total energy comes out at -305.0104 hartree.

The geometry in XYZ format:
```
16
Properties=species:S:1:pos:R:3:forces:R:3:lowdin_charge:R:1
C -2.378 0.090 0.257 1.7 1.2 0.5 0.207
C 2.225 0.004 0.008 0.2 0.5 0.0 -0.024
C 1.577 -1.371 0.124 -0.1 -0.5 0.0 -0.033
C 0.781 -0.162 0.066 -2.2 0.3 0.1 -0.238
C -0.470 1.833 -0.016 0.1 0.6 0.0 -0.098
N -0.379 0.392 0.088 0.2 -0.8 -0.1 -0.005
N -2.689 -1.062 -0.122 0.0 -1.7 -0.6 0.118
H 2.717 0.427 0.873 0.0 -0.1 0.1 0.128
H 2.676 0.297 -0.930 0.0 -0.1 -0.1 0.126
H 1.596 -2.022 -0.740 0.0 0.0 -0.1 0.120
H 1.644 -1.904 1.062 0.0 0.1 0.1 0.122
H -1.085 2.081 -0.880 0.0 0.1 0.0 0.091
H -0.973 2.218 0.871 0.0 0.0 0.0 0.090
H 0.511 2.295 -0.116 0.0 -0.1 0.0 0.097
H -3.684 -1.301 -0.114 0.1 0.2 0.0 0.149
H -2.070 -1.814 -0.431 0.0 0.2 0.1 0.149
```
Forces are in eV/Å.

=====

No. 2
The following is a DFT calculation (ωB97M-V with the def2-TZVPD basis set) of the ion C3H10NO with charge +1 at a distorted geometry.

Its SMILES is C[C@H]([NH3+])CO. For the HOMO energy, the calculation gives -15.3847 eV. As for the energy above the lowest of the compared OMol25 structures with the same formula, charge and spin: 19.0 kcal/mol. The calculation puts the LUMO energy at -0.1312 hartree. The HOMO-LUMO gap is 11.816 eV. Its charge is +1. The total energy comes out at -250.0235 hartree.

The geometry in XYZ format:
```
15
Properties=species:S:1:pos:R:3:forces:R:3:lowdin_charge:R:1
C 0.756 1.113 1.356 -0.4 1.0 1.6 -0.052
C -0.089 0.102 0.546 1.2 0.8 0.7 -0.264
N 0.967 -1.030 0.292 -2.8 -1.4 2.7 0.226
C -0.813 0.539 -0.740 2.8 -0.9 -0.3 -0.179
O -1.102 -0.648 -1.491 -0.4 0.1 1.8 -0.040
H 0.287 2.071 1.680 -0.4 -0.9 -0.6 0.109
H 1.036 0.662 2.333 -0.4 0.0 -0.5 0.094
H 1.714 1.478 0.997 0.1 -0.4 -1.0 0.084
H -0.895 -0.238 1.195 0.5 -0.9 0.2 0.153
H 1.760 -0.739 -0.197 1.4 0.8 -1.6 0.135
H 0.461 -1.805 -0.163 0.5 0.2 -0.2 0.167
H 1.370 -1.385 1.213 -1.0 0.5 -1.2 0.202
H -1.629 1.176 -0.410 -0.3 0.0 -0.5 0.141
H -0.043 1.027 -1.345 -0.5 0.9 0.1 0.135
H -1.146 -0.381 -2.394 -0.3 0.0 -1.1 0.089
```
Forces are in eV/Å.

=====

No. 3
The following is a DFT calculation (ωB97M-V with the def2-TZVPD basis set) of a cluster of 2 separate species, C4H12O2 in total at a distorted geometry.
~~~
Back to the entry >

Improving the learning environment in selected schools in Sana’a Governorate


Repair of eleven schools: restoration of sanitary facilities, renovation of classrooms, laboratories, warehouses, bathrooms and corridors, including walls, windows, doors, electrical network, floors, ceilings, new blackboards and lighting

New construction of three schools

Providing clean water tanks and setting up water collection points for every school

Equipping school children with school bags and school materials

Educational opportunities for children in Yemen

Enhancing Education Infrastructure in Yemen: Shaaf’s Impact on School Renovation and Construction

Shaaf, as an organization dedicated to community development and welfare in Yemen, plays a crucial role in the renovation and construction of schools, aiming to enhance the learning environment across selected schools in the Sana’a Governorate. Through its initiatives, Shaaf endeavors to address the pressing need for improved educational infrastructure amidst the challenges posed by conflict and instability in the region.


One of Shaaf’s key endeavors is the repair of eleven schools within the Sana’a Governorate. This comprehensive repair work encompasses the restoration of essential facilities such as sanitary units, classrooms, laboratories, warehouses, bathrooms, and corridors. The organization focuses on refurbishing various aspects of these schools, including walls, windows, doors, electrical networks, floors, and ceilings. Additionally, Shaaf undertakes the installation of new blackboards and lighting systems to create a conducive learning environment for students and educators alike.


In addition to renovating existing schools, Shaaf also engages in the construction of new educational facilities. By building three new schools, the organization seeks to expand access to quality education and accommodate the growing needs of communities in Yemen. These new school buildings are designed to meet modern standards and provide students with safe and comfortable spaces for learning and development.


Furthermore, Shaaf places significant emphasis on ensuring access to clean water within school premises. The organization provides clean water tanks and establishes water collection points in every school it supports. This initiative aims to address hygiene concerns and promote the health and well-being of students and staff members, thereby fostering a conducive learning environment.


As part of its holistic approach to supporting education, Shaaf equips school children with essential supplies such as school bags and educational materials. By providing these items, the organization alleviates the financial burden on families and enables students to fully engage in their studies without hindrance. This support contributes to creating a more inclusive and equitable educational landscape in Yemen.


Overall, Shaaf’s initiatives play a vital role in expanding educational opportunities for children across Yemen. Through its efforts in school renovation, construction, water provision, and supply distribution, the organization contributes to improving the quality of education and fostering a brighter future for Yemeni youth despite the challenges they face.


Shaaf’s Capabilities: Enhancing School Infrastructure and Facilities


Shaaf, in collaboration with the Yemeni Red Crescent, demonstrates its ability to contribute significantly to the improvement of educational facilities in Yemen. One notable achievement is the construction and renovation of schools, aimed at enhancing the learning environment across selected schools in the Sana’a Governorate.

Through Shaaf’s initiatives, eleven schools have undergone extensive repairs, including the restoration of sanitary facilities, refurbishment of classrooms, laboratories, warehouses, bathrooms, and corridors. These efforts encompass various aspects such as repairing walls, windows, doors, the electrical network, floors, ceilings, as well as installing new blackboards and lighting systems. Moreover, Shaaf has undertaken the construction of three entirely new schools, expanding educational opportunities for children in Yemen.

In addition to infrastructure upgrades, Shaaf prioritizes the provision of essential amenities to ensure a conducive learning environment. This includes the installation of clean water tanks and the establishment of water collection points in every school. By addressing the fundamental need for clean water, Shaaf contributes to maintaining the health and well-being of students and staff alike.

Furthermore, Shaaf is committed to equipping school children with necessary supplies, such as school bags and educational materials. By providing these resources, Shaaf enhances access to quality education, particularly for vulnerable children who may face barriers to learning due to economic hardship or conflict-related disruptions.

Shaaf’s holistic approach extends beyond physical infrastructure to encompass broader educational opportunities for children in Yemen. Through its concerted efforts, Shaaf supports initiatives aimed at promoting education and knowledge dissemination among youth, despite the challenging circumstances posed by conflict and instability.


Shaaf’s Impact on the Ground: Transforming School Environments


The dedicated efforts of Shaaf and the Yemeni Red Crescent are evident in front of newly constructed school buildings, which are equipped with solar energy systems to ensure sustainable power sources. These initiatives reflect Shaaf’s commitment to environmental sustainability and innovative solutions in education infrastructure.

The addition of new classrooms and sanitary facilities underscores Shaaf’s commitment to improving hygiene standards and expanding learning capacity in Yemeni schools. By providing modern, functional facilities, Shaaf contributes to creating safer and more conducive learning environments for students, despite the prevailing challenges.


In Yemen, where educational resources are often scarce, Shaaf’s interventions play a crucial role in addressing gaps and enhancing educational opportunities for children. Through collaborative efforts and strategic investments, Shaaf continues to make a meaningful difference in the lives of students and communities across Yemen, paving the way for a brighter future amidst adversity.

Empowering Local Humanitarian Efforts:

The empowerment of local humanitarian efforts stands as a cornerstone in fostering sustainable development and addressing the pressing needs of communities. Staff and volunteers within these grassroots organizations serve as essential conduits, bridging gaps between communities, governmental bodies, and external support systems. Their pivotal role extends beyond mere facilitation, as they act as advocates for marginalized groups, amplifying their voices and championing their rights.

Through their unwavering commitment to humanitarian endeavors, these individuals significantly contribute to the enhancement of living conditions for vulnerable populations. Their tireless efforts often entail a wide array of initiatives, ranging from providing essential aid during crises to implementing long-term development projects aimed at fostering resilience and self-sufficiency.

To ensure the efficacy and longevity of such endeavors, it becomes imperative to invest in the capacity-building of these local organizations. Training sessions serve as invaluable opportunities to equip staff and volunteers with the necessary skills and knowledge to navigate complex humanitarian challenges effectively. Topics covered may include first aid techniques to address immediate medical needs, psychosocial support to aid in emotional healing and resilience-building, and comprehensive health and hygiene education to promote overall well-being within communities.

By bolstering the capacities and capabilities of local humanitarian organizations, we not only fortify their ability to respond to emergencies promptly but also empower them to spearhead sustainable development initiatives tailored to the unique needs and contexts of their communities. This strategic approach ensures that humanitarian efforts are not only impactful in the short term but also contribute to fostering enduring positive change for generations to come.